### Material
┌──
Model 1:
Below is a cluster of 2 separate species, C13H19N in total, with properties calculated with ωB97M-V/def2-TZVPD.

Calculated values
LUMO energy = 0.9211 eV
SMILES = CCc1c[nH]c2ccccc12.CCC
Orbital gap = 8.799 eV

Atoms and positions in Å:
C  -3.0162  -1.3481  0.8914
C  -1.9680  -1.5469  -0.1671
C  -0.5690  -1.8582  0.2073
C  0.0660  -1.8615  1.4036
N  1.4501  -1.8094  1.1609
C  1.7148  -1.6543  -0.1794
C  2.8735  -1.2637  -0.8580
C  2.7437  -1.1507  -2.2525
C  1.5459  -1.2834  -2.9406
C  0.4552  -1.6371  -2.2067
C  0.4375  -1.7997  -0.8286
H  -3.0870  -2.2347  1.6155
H  -3.8833  -1.0329  0.3354
H  -2.7161  -0.5804  1.5779
H  -2.3354  -2.2792  -0.9243
H  -2.0999  -0.6609  -0.7870
H  -0.1956  -2.1187  2.3928
H  2.1090  -1.6119  1.8849
H  3.7794  -1.2446  -0.3215
H  3.6553  -0.9632  -2.8201
H  1.5054  -1.1609  -4.0234
H  -0.4750  -1.5267  -2.7945
C  -0.6631  3.5061  -0.1379
C  0.3691  3.3343  1.0139
C  0.0723  2.0387  1.7501
H  -1.1266  4.5176  -0.1277
H  -0.4406  3.4564  -1.2038
H  -1.6184  2.9920  0.1099
H  0.1177  4.1203  1.7535
H  1.3488  3.6206  0.6680
H  0.0522  2.0797  2.8685
H  0.8352  1.3063  1.5693
H  -0.9370  1.6550  1.3704

***

Model 2:
Below is a cluster of 2 separate species, C13H19N in total, with properties calculated with ωB97M-V/def2-TZVPD.

Calculated values
LUMO energy = 0.7654 eV
SMILES = Cc1c[nH]c2ccccc12.CC(C)C
Orbital gap = 8.642 eV

Atoms and positions in Å:
C  -0.9952  -0.0138  -3.4113
C  -0.1539  0.6190  -2.3852
C  -0.5119  1.7381  -1.6899
N  0.4001  2.0510  -0.6761
C  1.4257  1.1396  -0.8043
C  2.6232  0.9497  -0.1522
C  3.4693  -0.0937  -0.4775
C  3.1464  -1.0158  -1.4644
C  1.9431  -0.8552  -2.1786
C  1.0834  0.1632  -1.7611
H  -1.1711  -1.0818  -3.2522
H  -0.5261  0.1315  -4.3781
H  -2.0011  0.4001  -3.3543
H  -1.2780  2.4690  -1.9952
H  0.2178  2.4797  0.2128
H  3.0353  1.6212  0.6099
H  4.5009  -0.1005  -0.0665
H  3.7378  -1.7571  -1.9729
H  1.6224  -1.6169  -2.8642
C  -2.7350  -2.0975  2.2730
C  -2.0794  -0.9282  3.0951
C  -2.7764  0.3896  2.6813
C  -2.0844  -1.1517  4.6106
H  -3.0996  -2.9039  2.9401
H  -1.9848  -2.4803  1.5686
H  -3.6459  -1.6682  1.8799
H  -1.0742  -0.8933  2.7086
H  -3.7909  0.4705  3.1201
H  -2.2204  1.2157  3.0894
H  -2.9207  0.2998  1.5792
H  -1.0154  -1.1560  4.9956
H  -2.6009  -0.4714  5.2902
H  -2.5471  -2.1239  4.8497

***

The most stable of them is model 2.

***

Model 1:
Below is a cluster of 2 separate species, C4H7ClN2 in total, with properties calculated with ωB97M-V/def2-TZVPD.

Calculated values
LUMO energy (spin up / spin down) = -3.4167 / -3.3731 eV
Orbital gap (spin up / spin down) = 7.173 / 7.206 eV

Atoms and positions in Å:
C  -2.3246  1.5152  0.0019
C  -0.1808  -0.0275  1.2594
C  0.3605  0.1907  -1.2496
C  -0.6364  -0.2059  -0.2126
N  -2.5386  2.5730  0.4102
N  -1.9056  0.4439  -0.5402
Cl  -3.6245  -1.0879  0.1431
H  -0.6486  -0.6196  2.0025
H  0.9190  -0.2168  1.3489
H  -0.2635  1.0146  1.5521
H  -0.2424  0.0903  -2.1331
H  1.0067  -0.7424  -1.1591
H  0.9051  1.0864  -1.3309
H  -0.8606  -1.2651  -0.4323

***

Model 2:
Below is the molecule C4H7ClN2, with properties calculated with ωB97M-V/def2-TZVPD.

Calculated values
LUMO energy = 0.5872 eV
SMILES = C[C@H]1N=N[C@@]1(C)Cl
Orbital gap = 10.459 eV

Atoms and positions in Å:
C  -1.4085  1.0837  -0.7260
C  -0.1372  0.3779  -0.7633
N  0.8961  1.3374  -0.3533
N  1.0021  0.9439  0.8300
C  0.2647  -0.2604  0.6654
C  1.1895  -1.4924  0.6116
Cl  -1.0235  -0.4735  1.7830
H  -1.5452  1.5611  0.1524
H  -2.3053  0.4407  -1.0114
H  -1.2543  1.8685  -1.4237
H  0.1022  -0.2356  -1.6024
H  1.4921  -1.6655  1.7041
H  1.9690  -1.1870  -0.0153
H  0.7584  -2.2989  0.1489

***

Model 3:
Below is the molecule C4H7ClN2, with properties calculated with ωB97M-V/def2-TZVPD.

Calculated values
LUMO energy = 0.7567 eV
SMILES = CC[C@@](N)(Cl)C#N
Orbital gap = 11.265 eV

Atoms and positions in Å:
C  1.5213  -0.1177  -0.6096
C  0.3100  0.8073  -0.6769
C  -0.8992  0.0797  0.0556
N  -0.3458  0.0258  1.7558
└──
### Assignment
Search the notes above for the word "Cc1c" and type out each line that has it, please.
### Reply
SMILES = Cc1c[nH]c2ccccc12.CC(C)C